-- Source --
/*
Version P
A 2-piece molecular cluster, C4H6NO2 overall, computed with wB97M-V/def2-TZVPD.

Output
Frontier orbital gap   7.397 eV
LUMO level   4.10 eV

ORCA input file:
```
! RIJCOSX wB97M-V def2-TZVPD def2/J DEFGRID3
* xyz -1 1
C 2.6573 0.1090 0.0803
C -1.1763 1.3818 -0.0332
C -0.9304 0.1837 -0.5445
C -1.3762 -1.0113 0.3067
N 1.7021 -0.7223 0.1140
O 3.0453 1.2322 0.4121
O 3.1163 -1.0723 -0.5527
H -0.8280 2.2225 -0.5885
H -1.5554 1.6333 0.8669
H -0.3790 -0.1151 -1.3885
H -2.2861 -0.9295 0.9034
H -0.4806 -1.0880 0.9024
H -1.5091 -1.8238 -0.4784
*
```

Charges computed using natural (NBO), reported in e: atom 1 (C): 0.76, atom 2 (C): -0.45, atom 3 (C): -0.11, atom 4 (C): -0.67, atom 5 (N): -0.45, atom 6 (O): -0.73, atom 7 (O): -0.56, atom 8 (H): 0.18, atom 9 (H): 0.18, atom 10 (H): 0.22, atom 11 (H): 0.19, atom 12 (H): 0.27, atom 13 (H): 0.19



Version Q
A 2-piece molecular cluster, C4H6NO2 overall, computed with wB97M-V/def2-TZVPD.

Output
Frontier orbital gap   8.657 eV
LUMO level   4.19 eV

ORCA input file:
```
! RIJCOSX wB97M-V def2-TZVPD def2/J DEFGRID3
* xyz -1 1
C -0.7957 -0.3598 -0.9718
C -1.4429 -0.0427 -2.0954
C 0.9507 -1.5523 -0.0456
N 0.0850 -1.4825 -0.9969
H -0.7976 0.2143 -0.0533
H -1.2332 -0.6635 -2.9642
H -2.0271 0.8634 -2.1295
H 1.5526 -2.4598 -0.0508
H 0.9641 -0.8352 0.8195
O 0.3851 2.4113 1.2303
C 0.6938 1.6002 2.1127
O 0.2998 0.3944 2.1898
H 1.3655 1.9123 2.9553
*
```

Charges computed using natural (NBO), reported in e: atom 1 (C): -0.04, atom 2 (C): -0.45, atom 3 (C): -0.07, atom 4 (N): -0.47, atom 5 (H): 0.24, atom 6 (H): 0.19, atom 7 (H): 0.20, atom 8 (H): 0.14, atom 9 (H): 0.24, atom 10 (O): -0.76, atom 11 (C): 0.63, atom 12 (O): -0.83, atom 13 (H): 0.00



Need the numbers? Relative energies in hartree: version P 0.1008; version Q 0.0000.



Version P
A 2-piece molecular cluster, C4H10NO overall, computed with wB97M-V/def2-TZVPD.

Output
Frontier orbital gap (alpha / beta)   10.566 / 6.989 eV
LUMO level (alpha / beta)   -10.88 / -14.46 eV

ORCA input file:
```
! RIJCOSX wB97M-V def2-TZVPD def2/J DEFGRID3
* xyz 2 2
C -2.0159 1.6285 0.6315
C 0.2439 1.5895 -0.2192
N -0.8373 0.9722 0.0706
H -2.3961 1.0094 1.4638
H -2.7976 1.7265 -0.1455
H -1.7334 2.6287 0.9992
H 0.3185 2.6660 -0.0287
H 1.0011 1.0959 -0.8167
H -0.8954 -0.0194 -0.2678
O -0.4743 -1.7297 -0.5654
C 0.5409 -1.7288 0.1030
C 1.8698 -2.0019 -0.5107
H 0.4588 -1.6881 1.2236
H 2.3611 -2.8802 -0.0667
H 2.5323 -1.1419 -0.2713
H 1.8237 -2.1268 -1.5997
*
```

Charges computed using natural (NBO), reported in e: atom 1 (C): -0.45, atom 2 (C): 0.13, atom 3 (N): -0.39, atom 4 (H): 0.26, atom 5 (H): 0.28, atom 6 (H): 0.26, atom 7 (H): 0.26, atom 8 (H): 0.22, atom 9 (H): 0.42, atom 10 (O): -0.04, atom 11 (C): 0.44, atom 12 (C): -0.71, atom 13 (H): 0.34, atom 14 (H): 0.35, atom 15 (H): 0.32, atom 16 (H): 0.31



Version Q
An isolated ion of composition C4H10NO and charge +2, computed with wB97M-V/def2-TZVPD.

Output
Frontier orbital gap (alpha / beta)   11.509 / 7.755 eV
LUMO level (alpha / beta)   -10.34 / -14.09 eV

ORCA input file:
```
! RIJCOSX wB97M-V def2-TZVPD def2/J DEFGRID3
* xyz 2 2
C -0.7249 0.7292 -1.4138
C -0.0871 -0.3436 -0.5396
C -0.3054 -0.3363 0.9812
C 0.4373 0.8646 1.6266
O 1.3796 1.4085 1.1682
N -0.3693 -1.7729 -1.0894
H -0.3005 0.7320 -2.4129
H -1.8124 0.8044 -1.3975
H -0.4003 1.6769 -0.9648
H 0.9710 -0.2548 -0.8079
H -1.3648 -0.2610 1.2292
H 0.1735 -1.1991 1.4630
H -0.0507 1.3394 2.4860
H -1.3240 -2.0333 -0.8249
H -0.2770 -1.8228 -2.1082
H 0.2894 -2.4064 -0.6528
*
```

Charges computed using natural (NBO), reported in e: atom 1 (C): -0.65, atom 2 (C): -0.05, atom 3 (C): -0.47, atom 4 (C): 0.46, atom 5 (O): 0.03, atom 6 (N): -0.67, atom 7 (H): 0.27, atom 8 (H): 0.26, atom 9 (H): 0.25, atom 10 (H): 0.24, atom 11 (H): 0.30, atom 12 (H): 0.31, atom 13 (H): 0.34, atom 14 (H): 0.45, atom 15 (H): 0.48, atom 16 (H): 0.45



Need the numbers? Relative energies in hartree: version P 0.0387; version Q 0.0000.



Version P
*/

-- Job --
Set down the rows above from the first line to the one with "-1.3240 -2.0333" unchanged.

-- Completed --
Version P
A 2-piece molecular cluster, C4H6NO2 overall, computed with wB97M-V/def2-TZVPD.

Output
Frontier orbital gap   7.397 eV
LUMO level   4.10 eV

ORCA input file:
```
! RIJCOSX wB97M-V def2-TZVPD def2/J DEFGRID3
* xyz -1 1
C 2.6573 0.1090 0.0803
C -1.1763 1.3818 -0.0332
C -0.9304 0.1837 -0.5445
C -1.3762 -1.0113 0.3067
N 1.7021 -0.7223 0.1140
O 3.0453 1.2322 0.4121
O 3.1163 -1.0723 -0.5527
H -0.8280 2.2225 -0.5885
H -1.5554 1.6333 0.8669
H -0.3790 -0.1151 -1.3885
H -2.2861 -0.9295 0.9034
H -0.4806 -1.0880 0.9024
H -1.5091 -1.8238 -0.4784
*
```

Charges computed using natural (NBO), reported in e: atom 1 (C): 0.76, atom 2 (C): -0.45, atom 3 (C): -0.11, atom 4 (C): -0.67, atom 5 (N): -0.45, atom 6 (O): -0.73, atom 7 (O): -0.56, atom 8 (H): 0.18, atom 9 (H): 0.18, atom 10 (H): 0.22, atom 11 (H): 0.19, atom 12 (H): 0.27, atom 13 (H): 0.19



Version Q
A 2-piece molecular cluster, C4H6NO2 overall, computed with wB97M-V/def2-TZVPD.

Output
Frontier orbital gap   8.657 eV
LUMO level   4.19 eV

ORCA input file:
```
! RIJCOSX wB97M-V def2-TZVPD def2/J DEFGRID3
* xyz -1 1
C -0.7957 -0.3598 -0.9718
C -1.4429 -0.0427 -2.0954
C 0.9507 -1.5523 -0.0456
N 0.0850 -1.4825 -0.9969
H -0.7976 0.2143 -0.0533
H -1.2332 -0.6635 -2.9642
H -2.0271 0.8634 -2.1295
H 1.5526 -2.4598 -0.0508
H 0.9641 -0.8352 0.8195
O 0.3851 2.4113 1.2303
C 0.6938 1.6002 2.1127
O 0.2998 0.3944 2.1898
H 1.3655 1.9123 2.9553
*
```

Charges computed using natural (NBO), reported in e: atom 1 (C): -0.04, atom 2 (C): -0.45, atom 3 (C): -0.07, atom 4 (N): -0.47, atom 5 (H): 0.24, atom 6 (H): 0.19, atom 7 (H): 0.20, atom 8 (H): 0.14, atom 9 (H): 0.24, atom 10 (O): -0.76, atom 11 (C): 0.63, atom 12 (O): -0.83, atom 13 (H): 0.00



Need the numbers? Relative energies in hartree: version P 0.1008; version Q 0.0000.



Version P
A 2-piece molecular cluster, C4H10NO overall, computed with wB97M-V/def2-TZVPD.

Output
Frontier orbital gap (alpha / beta)   10.566 / 6.989 eV
LUMO level (alpha / beta)   -10.88 / -14.46 eV

ORCA input file:
```
! RIJCOSX wB97M-V def2-TZVPD def2/J DEFGRID3
* xyz 2 2
C -2.0159 1.6285 0.6315
C 0.2439 1.5895 -0.2192
N -0.8373 0.9722 0.0706
H -2.3961 1.0094 1.4638
H -2.7976 1.7265 -0.1455
H -1.7334 2.6287 0.9992
H 0.3185 2.6660 -0.0287
H 1.0011 1.0959 -0.8167
H -0.8954 -0.0194 -0.2678
O -0.4743 -1.7297 -0.5654
C 0.5409 -1.7288 0.1030
C 1.8698 -2.0019 -0.5107
H 0.4588 -1.6881 1.2236
H 2.3611 -2.8802 -0.0667
H 2.5323 -1.1419 -0.2713
H 1.8237 -2.1268 -1.5997
*
```

Charges computed using natural (NBO), reported in e: atom 1 (C): -0.45, atom 2 (C): 0.13, atom 3 (N): -0.39, atom 4 (H): 0.26, atom 5 (H): 0.28, atom 6 (H): 0.26, atom 7 (H): 0.26, atom 8 (H): 0.22, atom 9 (H): 0.42, atom 10 (O): -0.04, atom 11 (C): 0.44, atom 12 (C): -0.71, atom 13 (H): 0.34, atom 14 (H): 0.35, atom 15 (H): 0.32, atom 16 (H): 0.31



Version Q
An isolated ion of composition C4H10NO and charge +2, computed with wB97M-V/def2-TZVPD.

Output
Frontier orbital gap (alpha / beta)   11.509 / 7.755 eV
LUMO level (alpha / beta)   -10.34 / -14.09 eV

ORCA input file:
```
! RIJCOSX wB97M-V def2-TZVPD def2/J DEFGRID3
* xyz 2 2
C -0.7249 0.7292 -1.4138
C -0.0871 -0.3436 -0.5396
C -0.3054 -0.3363 0.9812
C 0.4373 0.8646 1.6266
O 1.3796 1.4085 1.1682
N -0.3693 -1.7729 -1.0894
H -0.3005 0.7320 -2.4129
H -1.8124 0.8044 -1.3975
H -0.4003 1.6769 -0.9648
H 0.9710 -0.2548 -0.8079
H -1.3648 -0.2610 1.2292
H 0.1735 -1.1991 1.4630
H -0.0507 1.3394 2.4860
H -1.3240 -2.0333 -0.8249